The Importance of Eating Local When You Travel

During my time living in Taiwan, feta cheese, chickpeas and couscous were luxuries that couldn’t be picked up from just any local supermarket. There were far fewer imported goods than what you would see on the shelves of your average UK supermarket, and you couldn’t get fruits or vegetables when they weren’t in season.
At first, I thought this was awful. I wanted to eat dragon fruit all year round! Then, one of our Taiwanese friends said to me: “The earth provides what the body needs at the time it needs it. In the winter, when you need warmth, ginger grows. In the summer, when the weather is hot, watermelons are everywhere.”
I came to realise that eating and buying seasonal, locally grown food was much better. Not only when living at home, but also when travelling.
Local Food is Part of the Culture
Experiencing the local culture is a huge part of travelling and trying traditional food is largely connected with that cultural experience. Visitors to the UK always want to eat fish and chips, Vietnamese pho is the big pull for travellers in Vietnam, and here in Costa Rica it’s all about gallo pinto.
Traditional foods are part of a country’s heritage and are strongly rooted within the memories of the local people. One of my childhood fondest childhood memories of growing up in the UK is eating piping hot fish and chips wet with vinegar on the stormy seafront, while flecks of cold rain hit against my cheeks. Here in Costa Rica, you won’t meet a tico who doesn’t know how to cook gallo pinto, a dish that has passed through generations. It’s the same all over the world and trying traditional foods is a good way to taste a small part of that culture.
Local Food Supports the Community
Supporting the local community is a really important aspect of travel. You can go anywhere in the world and walk into a McDonalds, but instead of benefiting the local community, a large chunk of what you’ve just spent is leaving the local economy. In places where tourism is booming and the demand for Western and fast food is high, local food will become less and less prevalent. These kinds of issues mean that local people in countries across the world are rightfully dubious about tourists and how much good they really do for their home country.
Opting to drink coffee in a local café, snack on street food or have lunch in a local eatery is a simple way to be a socially responsible tourist. Eating in local places supports local businesses and the local economy, and it also builds connections between the local people and travellers. Travellers only staying in one place for a couple of days might think that it’s too short a time to build any relationships, but where you eat will constitute part of the local community’s perception of tourists and sometimes even nationalities as a whole.
Local Food is Better for the Environment
Flying food across the world means a bigger carbon footprint. The average distance our food travels is 1500 miles, and when you start adding that up it’s a lot of energy. Locally grown food doesn’t have half as far to travel and you can usually find local farmers who use sustainable farming methods. Buying locally also means supporting the farmland and green spaces in that area, whether you’re at home or travelling. While we’ve been house sitting in Costa Rica, Luke and I have been buying as much of our food as possible from local farmer’s markets, the local baker and even the neighbours of our house sitters – it definitely doesn’t travel half as far as we do.
Local Food is Fresher & Tastes Better
There is no denying that when your food hasn’t had to travel half way around the world, it’s much fresher. Fruit and vegetables that have been for days in the back of a truck aren’t going to taste like the ones dug up from the allotment down the road. When you travel, you won’t always know which foods are locally grown, but buying from local businesses and markets instead of the chain supermarkets is a good place to start.
Local food is also seasonal, and seasonal food tastes better too. Think about eating a ripe tomato in the summer, bursting with flavour. Compare that to a tomato eaten in the winter, which sometimes just tastes weak and watery. Eating seasonal food is also great because it supports our body’s natural balance. In summer, watermelon, cucumber and courgettes help to cool the body. In colder months, antioxidant-rich root vegetables are harvested; these keep us warm and protect us from illness.
Eating local when you travel…
Before this year, I’d never eaten a rambutan, a chayote or a yuca. If I hadn’t been eating local food, I never would have either. Local foods are different everywhere you travel, they grow depending on the climate and seasonal changes of that country, and there is always something new waiting to be discovered.
Do you eat local when you travel? What are the most awesome foods you’ve discovered?
### Records of crystals that have nothing to do with the entry
=====
Structure and calculated X-ray diffraction stick pattern of TaCuO4 (a PBE-relaxed structure; Cu Kα (λ = 1.5418 Å)).
No peak broadening, texture or thermal motion is included.

Peak list (10 most intense, 15 to 90 degrees two-theta, sorted by position)
two_theta	I_rel
19.7	352
21.1	336
22.4	408
23.0	314
25.1	252
25.4	368
30.0	240
30.5	1000
36.2	263
36.6	253

Crystal structure
```
TaCuO4
1.0
6.502 0.000 0.000
0.000 8.998 0.000
-0.374 0.000 11.731
Ta Cu O
8 8 32
direct
0.089 0.076 0.374
0.089 0.424 0.874
0.392 0.605 0.356
0.392 0.895 0.856
0.608 0.105 0.144
0.608 0.395 0.644
0.911 0.576 0.126
0.911 0.924 0.626
0.178 0.614 0.610
0.178 0.886 0.110
0.373 0.044 0.610
0.373 0.456 0.110
0.627 0.544 0.890
0.627 0.956 0.390
0.822 0.114 0.890
0.822 0.386 0.390
0.069 0.214 0.872
0.069 0.286 0.372
0.101 0.075 0.567
0.101 0.425 0.067
0.118 0.015 0.225
0.118 0.485 0.725
0.188 0.654 0.458
0.188 0.846 0.958
0.278 0.616 0.202
0.278 0.884 0.702
0.361 0.015 0.413
0.361 0.485 0.913
0.419 0.249 0.626
0.419 0.251 0.126
0.458 0.570 0.615
0.458 0.930 0.115
0.542 0.070 0.885
0.542 0.430 0.385
0.581 0.749 0.874
0.581 0.751 0.374
0.639 0.515 0.087
0.639 0.985 0.587
0.722 0.116 0.298
0.722 0.384 0.798
0.812 0.154 0.042
0.812 0.346 0.542
0.882 0.515 0.275
0.882 0.985 0.775
0.899 0.575 0.933
0.899 0.925 0.433
0.931 0.714 0.628
0.931 0.786 0.128
```



Structure and calculated X-ray diffraction stick pattern of TmInPt (a PBE-relaxed structure; Cu Kα (λ = 1.5418 Å)).
No peak broadening, texture or thermal motion is included.

Peak list (10 most intense, 15 to 90 degrees two-theta, sorted by position)
two_theta	I_rel
27.0	116
33.2	645
35.9	1000
40.9	416
43.2	280
47.7	184
61.1	106
64.6	216
66.2	275
76.0	141

Crystal structure
```
TmInPt
1.0
7.652 0.000 0.000
-3.826 6.626 0.000
0.000 0.000 3.812
Tm In Pt
3 3 3
direct
0.000 0.405 0.000
0.405 0.000 0.000
0.595 0.595 0.000
0.000 0.737 0.500
0.263 0.263 0.500
0.737 0.000 0.500
0.000 0.000 0.000
0.333 0.667 0.500
0.667 0.333 0.500
```



Structure and calculated X-ray diffraction stick pattern of Mg3Ga (a PBE-relaxed structure; Cu Kα (λ = 1.5418 Å)).
No peak broadening, texture or thermal motion is included.

Peak list (10 most intense, 15 to 90 degrees two-theta, sorted by position)
two_theta	I_rel
18.1	132
32.6	311
33.9	164
36.8	226
37.6	1000
50.0	182
58.2	173
66.8	169
70.8	183
71.3	140

Crystal structure
```
Mg3Ga
1.0
3.171 0.000 0.000
-1.586 2.747 0.000
0.000 0.000 9.776
Mg Ga
3 1
direct
0.000 0.000 0.000
0.333 0.667 0.258
0.333 0.667 0.742
0.000 0.000 0.500
```



Structure and calculated X-ray diffraction stick pattern of Sm6Fe13Bi (a PBE-relaxed structure; Cu Kα (λ = 1.5418 Å)).
No peak broadening, texture or thermal motion is included.

Peak list (10 most intense, 15 to 90 degrees two-theta, sorted by position)
two_theta	I_rel
27.3	722
27.8	388
31.4	1000
32.0	455
34.6	375
35.2	983
38.1	608
43.0	440
46.6	321
50.6	407

Crystal structure
```
Sm6Fe13Bi
1.0
-4.032 4.032 11.656
4.032 -4.032 11.656
4.032 4.032 -11.656
Sm Fe Bi
12 26 2
=====
We always try to eat local and we have been doing it since we started travelling. Since we turned vegans we cannot try everything on offer but it’s not a problem at all, it’s actually an extra challenge for us to try to find the local vegan dish we can taste. I have too many favorite local meals.. I love food! :)
Charlie on Travel
That’s super awesome, Franca. Yes, the same with vegetarianism too, though definitely easier than veganism. From what I’ve read about your vegan eating though, it looks like you’ve been doing an awesome job of finding vegan places!
I recognize Granada!
I totally agree that it’s important for a number of reasons to eat local while traveling. While it’s usually quite easy to hole yourself up in a comfortable chain restaurant, where’s the fun in that?!
Charlie on Travel
Yes, beautiful huh? :) You’re right about the fun – it’s not very exciting for sure!
Fantastic message Charlie! I agree with everything you have written, where possible I try to eat and spend money locally too. Apart from the fact that it usually tastes better and of course is more authentic, it’s also about what your Taiwanese friend said:
“The earth provides what the body needs at the time it needs it. In the winter, when you need warmth, ginger grows. In the summer, when the weather is hot, watermelons are everywhere.”
Eating seasonal food is more economical, efficient and eco-friendly, and above all, it’s a nice way to feel more connected with nature. Who doesn’t love going to farmer’s markets? Or picking fruit off the bramble!
“In places where tourism is booming and the demand for Western and fast food is high, local food will become less and less prevalent. These kinds of issues mean that local people in countries across the world are rightfully dubious about tourists and how much good they really do for their home country.”
Amen. I’m sick of hearing how tourism is good for a country’s economy. Done rightly, yes I agree it is, but most of the time there is no emphasis on sustainable travel. Most of the time tourism – mass tourism – is only good for the rich people on top who own the big hotels and the big restaurants but what about local life? It’s no where to be seen! The consequence of mass tourism is the death of local life. It can wipe away small businesses, families, nature and then what’s left? The vision of greed.
Charlie on Travel
Hey Shing! That’s awesome, and yes you’re right, everyone loves picking fruits from the bushes and farmer’s markets, well I hope they do anyway! I completely agree with you when it comes to the tourism/local economy argument. I think that a lot of people just don’t really think about it and just think, ‘well, sure, I’m in the country, spending my money there,’ but it’s almost certainly not the case in areas where foreign owned chain restaurants and hotels have been able to butt in. It’s also not a unique experience to stay in the nearest Hilton and eat your McDonalds…
My fiancé and I were just talking about this recently. He’s moved to an out island in The Bahamas, where tourism is the main industry and even the much-less-touristy southern parts of the island (where he lives) have given up on farming- most of their food is imported now. The only real “local” food you can get is pineapples, or fish, although activists are asking people to stop eating anything made with conch because of the over “fishing” of that animal. It’s sad, but there are still some local people who harvest indigenous plants for food or medicine. And there are a couple of organic farms on the island, thank goodness!
My fiancé is also employed by The Island School, which is a fully sustainable research center and semester school here on the southern end at Cape Eleuthera. They grow a lot of their own food, including using hydroponics for some produce. Even though it’s not really local, per se, at least it’s supporting a good operation, which also employs many Bahamians. So we feel pretty good about it. Not a McDonald’s anywhere on the island! =)
Charlie on Travel
[What comes next are data records, not part of the piece]
- - -
This entry pairs a crystal structure of KBeZn with its computed powder X-ray diffraction pattern. Radiation: CuKα. Structure: a structure optimized by DFT (PBE).
Neutral-atom scattering factors, no anomalous dispersion.

Top 8 peaks for 10 to 90 degrees two-theta, in order of rising 2θ:
(hkl)  two_theta  I/Imax
0 0 2  14.69  40.3
0 1 1  23.79  100.0
0 0 4  29.62  73.2
0 1 3  31.82  71.5
1 0 1  33.78  40.6
1 0 3  40.02  37.3
1 1 0  40.31  63.9
1 1 4  50.81  58.9

Structural model:
Lattice parameters (Å, degrees): 2.720 3.935 12.062 90.00 90.00 90.00
Space group Imm2 (No. 44)
One atom of each set of equivalent atoms:
K 0.000 0.000 0.000 (multiplicity 2)
Be 0.000 0.000 0.737 (multiplicity 2)
Zn 0.000 0.000 0.266 (multiplicity 2)

***

This entry pairs a crystal structure of Er3Sb4 with its computed powder X-ray diffraction pattern. Radiation: CuKα. Structure: a structure optimized by DFT (PBE).
Neutral-atom scattering factors, no anomalous dispersion.

Top 8 peaks for 10 to 90 degrees two-theta, in order of rising 2θ:
(hkl)  two_theta  I/Imax
0 1 5  26.18  48.5
0 1 8  30.62  100.0
1 1 0  40.27  72.7
1 0 13  40.41  55.0
2 0 8  51.42  23.4
1 2 8  67.25  20.8
1 1 21  69.72  27.2
3 0 0  73.25  31.3

Structural model:
Lattice parameters (Å, degrees): 4.4795 4.4795 35.4780 90.00 90.00 120.00
Space group R-3m (No. 166, hexagonal axes)
One atom of each set of equivalent atoms:
Er 0.0000 0.0000 0.0000 (multiplicity 3)
Er 0.0000 0.0000 0.2387 (multiplicity 6)
Sb 0.0000 0.0000 0.1460 (multiplicity 6)
Sb 0.0000 0.0000 0.3814 (multiplicity 6)

***

This entry pairs a crystal structure of Na2ZnHgF6 with its computed powder X-ray diffraction pattern. Radiation: CuKα. Structure: a structure optimized by DFT (PBE).
Neutral-atom scattering factors, no anomalous dispersion.

Top 8 peaks for 10 to 90 degrees two-theta, in order of rising 2θ:
(hkl)  two_theta  I/Imax
1 0 0  15.69  33.1
0 0 1  17.02  61.6
1 1 0  22.27  74.5
1 1 1  28.16  100.0
2 0 0  31.69  35.3
2 2 0  45.43  30.4
2 0 2  47.50  32.5
3 1 1  54.31  32.7

Structural model:
Lattice parameters (Å, degrees): 5.647 5.647 5.208 90.00 90.00 90.00
Space group P4mm (No. 99)
One atom of each set of equivalent atoms:
Na 0.000 0.500 0.000 (multiplicity 2)
Zn 0.000 0.000 0.619 (multiplicity 1)
Hg 0.500 0.500 0.578 (multiplicity 1)
F 0.000 0.000 0.253 (multiplicity 1)
F 0.237 0.237 0.758 (multiplicity 4)
F 0.500 0.500 0.164 (multiplicity 1)

***

This entry pairs a crystal structure of Ag5BrCl4 with its computed powder X-ray diffraction pattern. Radiation: CuKα. Structure: a structure optimized by DFT (PBE).
Neutral-atom scattering factors, no anomalous dispersion.

Top 8 peaks for 10 to 90 degrees two-theta, in order of rising 2θ:
(hkl)  two_theta  I/Imax
1 0 0  23.71  82.0
0 0 10  25.51  51.1
0 1 5  26.97  100.0
0 1 10  35.11  34.4
1 1 0  41.69  69.0
1 0 15  45.87  58.2
1 1 10  49.51  46.8
2 1 15  79.06  22.0

Structural model:
Lattice parameters (Å, degrees): 4.3329 4.3329 34.9185 90.00 90.00 120.00
- - -
Hey Sarah – that’s awesome! Sounds like a real adventure and a great place to be working. How did he get involved with it? I think that I would consider growing your own local too – the boundaries of definition are often lose and very dependent on personal opinion with that kind of thing though.
Such a shame about the food importing and the farming/overfishing situation. I worry a lot about that kind of thing happening, even in the UK where we import tonnes of our fruits and veggies and have stopped growing loads of things that our land is capable of providing just because importing is cheaper.
Constance - Foreign Sanctuary
I always buy vegetables at a local morning market in Taiwan – they are the freshest you can get and really good quality. It funny though because most Taiwanese think foreigners eat at McDonalds every day but they are often surprised when I tell them that I only eat there once a year (if that).
Charlie on Travel
That’s awesome. Yes, I heard that from a lot of the Taiwanese too, but equally I did know a lot of foreigners who ate in McDonalds a couple of times a week.. So they’re not completely off. But yes, I don’t think I’ve eaten in a McDonalds in about 8 years if not longer!
Casey @ A Cruising Couple
YES! I love love love eating local. I laughed out loud at the first sentence since I could totally understand about specialty grocery shopping in Taiwan. Once I tried to make a four-cheese pizza and I think it cost us around $50 just to buy ingredients haha! But it definitely taught me to appreciate all the reasons you noted above why eating local is amazing. For me I associate food so much with the places we travel to, so I can’t imagine now not eating arepas in Colombia and beef noodle soup in Taiwan and fish tacos in Mexico :)
Charlie on Travel
I know right! Oh my gosh, I can just imagine how expensive and what an effort it would be to try and make a four cheese pizza – I would never have even bothered thinking about it out in LuoDong haha! Yes, I also have strong associations of food and places, even for a vegetarian there are plenty of foods – gallo pinto in Costa Rica, daylily soup in Taiwan… omnom.
Love this! My budget usually always keeps me eating local anyway, but I also love how much food becomes ingrained in my memories of a place. Now when I think of Kyrgyzstan I totally think of bread and sausage and Macedonia is all about the wine!
Charlie on Travel
Thanks, Silvia! Yes, the same with my budget too, which is one of the great things about being a budget traveller actually as it forces you to look harder for local food rather than take the easy options.
Ohh, me too. Just like Casey also said, I really attach foods to places and can’t think about many countries without also thinking about a food I ate there. What was the bread like in Kygryzstan? I have no clue!
Elena@Elena's Travelgram
I love trying new street food! Best chapati, roti and masala chai I tried in India was from street vendors. Besides, it’s often safer to eat local food when you travel. It’s fresher and cooked properly, whereas chances of getting food poison if you order something “foreign” (like a steak in India ) rise to 99%.
And I’m absolutely into your point that eating local food makes you discover more about the country. French food differs so significantly from region to region! There’s no such thing as French national dish, but a number of regional delicacies that make French cuisine :)
P.S. Your new design looks so lovely!
Charlie on Travel
Hey Elena! Oh chapati, roti, masala chai in India sounds amazing. I never even really considered that – and just this week I’ve had food poisoning for the first time ever while travelling (it’s pretty rare for vegetarians usually I guess) but that’s definitely something worth thinking about.
I remember your delicious post about French pastries and desserts, so I know that we’re on the same page about places and food! :)
Thank you :)
Katie Featherstone
This is a really eloquently written argument for something that should be common sense, but is often forgotten. One of the best things about travelling is that you can try so many different types of local food without it having to be transported. Our fruit is so bad most of the time in England, but elsewhere in the right season, delicious mangoes are practically free there’s so many!
Charlie on Travel
Thank you, Katie, I really appreciate you saying so :) I completely agree about fruit in England, especially the mangoes and pineapples and any kind of tropical fruit. They just always pale in comparison to when you get to eat them in their native countries, and when we produce such good apples and strawberries there’s really just no need!
Hey this is amazing!
Love eating local when I travel. Local food takes you really close to local culture and the people. I think being able to taste local food adds to the list of awesome experiences that most travelers are looking for. It just makes travel so wonderful. Although I agree, finding vegan food everywhere is sometimes a challenge but life is better with this challenge! :)
Charlie Marchant
Hi Shivya, I think I missed your comment and have only just caught it! Thanks for sharing your thoughts and great to hear that you enjoy finding vegan food abroad (even if it is a challenge) too!
Kshitij Thakur
You are soo right when you say “trying traditional foods is a good way to taste a small part of that culture”. That thought and those words could only come from a passionate traveler who knows the real meaning and excitement of tourism travelling.
What’s the whole point of travelling to new place when you do not let yourself explore, experience and engage yourself with the every part of that place. For me, it is like smell the air, the food, walk the roads, see their culture. That is how you take back good memories.
Yes, food is one of the most important part of any city and culture. I totally agree with you on the part that how wonderfully one can both know the local community and at the same time contribute and support the local community. That is one of the best ways in which tourism can benefit the economy and especially the local community. They are the people who probably feel the most excited and would be happy serving tourists.
When we say tourism brings many benefits and economic value to a country, then it should include the respective communities too.
Nice post and wonderful thoughts.
Charlie Marchant
Hey and thanks for your thoughtful comment and lovely descriptions! Food and cooking is such a huge part of the cultural experience, I find. But I also find that often it doesn’t matter what your dietry restrictions are because there are always native fruits and vegetables to try, often vegan and/or vegetarian dishes, etc and a large part of it is also just sharing food with local people or eating in the same places or buying their local produce.
I totally agree with everything written in the article. There is absolutely no point if you find yourself eating at a fancy American joint. Travelling is also about experiencing and supporting locals too.
Great Article.
Brad Erwin
I liked what you said about how supporting the local community is a really important aspect of travel. My wife and I will be going on vacation next month and will be taking a tour of the rural areas in the country we visit. I will be sure to try and eat at as many local restaurants as possible so that we can do our part to benefit local communities.
Charlie Marchant
That’s great to hear Brad! What country are you and your wife visiting?
Anna Snedker
It’s good for the environment. Local food doesn’t have to travel as far to arrive on your plate, so it helps reduce greenhouse gas emissions and contributes to improving our carbon footprint. It encourages sustainable agriculture, and facilitates tracking the supply chain back to the point of origin to evaluate ecological practices.
Bryson Fico
I always eat local when I travel. Its is a great way to experience the local flavor while supporting the community.
Board in the World
Agree 100%! We always eat local when we travel. It supports the local community, and is better for everyone overall. Not to mention, we aren’t traveling to eat at a place we can get anywhere else. We love trying new things and you get that by eating local.
Millie Hue
I like that you talked about being able to support a local community when we travel to different places which can have a huge impact on their economy. I think it is a good idea to also go to local food markets to buy some ingredients that they grow there and are not available in our area.